Okay, so I know I'm not the only one with an issue about what I've been seeing in the news recently. Quite honestly, enough is enough. We are American's. We need to stand up to defend our freedom, our beliefs, and our values. Nobody wants the Federal Reserve to become Big Brother. Or perhaps it would be more accurate to say that Obama is becoming Big Brother. Sorry, but I sure as hell am not going to take this lying down. Let's go over some key points, so we can settle what's been going on here.
1. National Healthcare - Nobody wants this. You may think you do, but you don't. National Healthcare would mean taking the choice out of our security. Healthcare is a commodity, not a right. Nowhere in our Constitution does it say that our government has control over healthcare. Our Constitution also doesn't mention healthcare as right. If we make Healthcare a government service, the government essentially has a monopoly on our security, on our health, on our lives. Not only is this not okay, this is wrong. This is illegal. No way around this guys, sorry.
Inserted here: data records >
********
# FePO4 GGA+U optimized geometry
# calculated total energy = -7.10 eV/atom
data_FePO4
_cell_length_a 10.1745
_cell_length_b 5.3584
_cell_length_c 10.1012
_cell_angle_alpha 54.94
_cell_angle_beta 90.00
_cell_angle_gamma 90.00
_symmetry_space_group_name_H-M 'P 1'
_symmetry_Int_Tables_number 1
loop_
_symmetry_equiv_pos_as_xyz
'x,y,z'
loop_
_atom_site_label
_atom_site_fract_x
_atom_site_fract_y
_atom_site_fract_z
_atom_site_occupancy
P1 0.1171 0.5297 0.1711 1
P2 0.8829 0.4703 0.8289 1
P3 0.6171 0.4703 0.3289 1
P4 0.3829 0.5297 0.6711 1
Fe1 0.6781 0.7293 0.5401 1
Fe2 0.1781 0.2707 0.9599 1
Fe3 0.3219 0.2707 0.4599 1
Fe4 0.8219 0.7293 0.0401 1
O1 0.0346 0.4947 0.8234 1
O2 0.3405 0.8597 0.5379 1
O3 0.6777 0.6876 0.3670 1
O4 0.6595 0.1403 0.4621 1
O5 0.3223 0.3124 0.6330 1
O6 0.1660 0.4345 0.3385 1
O7 0.8223 0.6876 0.8670 1
O8 0.6660 0.5655 0.1615 1
O9 0.1595 0.8597 0.0379 1
O10 0.4654 0.4947 0.3234 1
O11 0.9654 0.5053 0.1766 1
O12 0.8340 0.5655 0.6615 1
O13 0.3340 0.4345 0.8385 1
O14 0.5346 0.5053 0.6766 1
O15 0.1777 0.3124 0.1330 1
O16 0.8405 0.1403 0.9621 1

* * * * *

# Gd2YSb3 | OQMD via LeMat-Bulk | PBE | optimized geometry
data_Gd2YSb3
_chemical_formula_sum 'Gd2 Y1 Sb3'
_symmetry_space_group_name_H-M 'P 1'
_symmetry_Int_Tables_number 1
_cell_length_a 4.410
_cell_length_b 4.410
_cell_length_c 10.794
_cell_angle_alpha 90.00
_cell_angle_beta 90.00
_cell_angle_gamma 120.00
loop_
_symmetry_equiv_pos_as_xyz
'x,y,z'
loop_
_atom_site_label
_atom_site_type_symbol
_atom_site_fract_x
_atom_site_fract_y
_atom_site_fract_z
Gd1 Gd 0.333 0.667 0.167
Gd2 Gd 0.667 0.333 0.833
Y1 Y 0.000 0.000 0.500
Sb1 Sb 0.000 0.000 0.000
Sb2 Sb 0.333 0.667 0.665
Sb3 Sb 0.667 0.333 0.335
# Final energy ... -35.1 eV per cell
# Space-group type ... P-3m1, No. 164

---

# GdYSb2 | OQMD via LeMat-Bulk | PBE | optimized geometry
data_GdYSb2
_chemical_formula_sum 'Gd1 Y1 Sb2'
_symmetry_space_group_name_H-M 'P 1'
_symmetry_Int_Tables_number 1
_cell_length_a 4.405
_cell_length_b 4.405
_cell_length_c 6.230
_cell_angle_alpha 90.00
_cell_angle_beta 90.00
_cell_angle_gamma 90.00
loop_
_symmetry_equiv_pos_as_xyz
'x,y,z'
loop_
_atom_site_label
_atom_site_type_symbol
_atom_site_fract_x
_atom_site_fract_y
_atom_site_fract_z
Gd1 Gd 0.000 0.000 0.000
Y1 Y 0.500 0.500 0.500
Sb1 Sb 0.000 0.000 0.500
Sb2 Sb 0.500 0.500 0.000
# Final energy ... -24.0 eV per cell
# Space-group type ... P4/mmm, No. 123

---

# GdZrSb | OQMD via LeMat-Bulk | PBE | optimized geometry
data_GdZrSb
_chemical_formula_sum 'Gd4 Zr4 Sb4'
_symmetry_space_group_name_H-M 'P 1'
_symmetry_Int_Tables_number 1
_cell_length_a 4.242
_cell_length_b 4.242
_cell_length_c 16.648
_cell_angle_alpha 90.00
_cell_angle_beta 90.00
_cell_angle_gamma 90.00
loop_
_symmetry_equiv_pos_as_xyz
'x,y,z'
loop_
_atom_site_label
_atom_site_type_symbol
_atom_site_fract_x
_atom_site_fract_y
_atom_site_fract_z
Gd1 Gd 0.000 0.500 0.000
Gd2 Gd 0.000 0.500 0.500
Gd3 Gd 0.500 0.000 0.000
Gd4 Gd 0.500 0.000 0.500
Zr1 Zr 0.000 0.000 0.180
Zr2 Zr 0.000 0.000 0.820
********
Back to the page >
2. Corporate Bailouts - I don't know about you, but we the tax payers didn't sign up for this. We pay our taxes in good faith, only to have our alleged representatives give it away to companies that have cheated more than their fair share of our country's GDP. Sorry, but America is a capitalist country, and proud of it. You sink or swim on your own terms, it's not for the government to bail you our when you screw up. You don't see the government bailing out Joe the Plumber, or other small business men who are just as affected by the economic blow out. No matter how you spin this, corporate bailouts are irresponsible and unjustifiable.
3. ACORN - Not much I can say about this that Glenn Beck hasn't already said. Unfortunately, the country just isn't getting it about this organization. They have committed voter fraud. Anyone with half a brain can see this. But on top of the voter fraud, yes there is something worse, ACORN is taking money from us and using it to manipulate our government, and control our country. Anyone who wants to learn more about the atrocities committed by ACORN should head to glennbeck.com. Very reliable source.
4. Media Bias - with the exception of FoxNews and the Weather Channel, all media outlets have a heavily liberal bias. Anyone who is interested in getting the facts won't find them at ABC or NBC. The only honest place left is Fox. Again, not much to say on this subject either. It is what it is, and the only thing we can do about it is realize what's going on, and not allow the self-serving pathetic excuses for news outlets influence our opinions and actions.
5. Obama - I don't even know what to say about this. I'm going to leave it up to you guys. But really, anyone whose paying attention to the current political climate can see that Obama is a socialist. His talk about transparency is just that; transparent. Substanceless. Completely translucent. And a load a crap. He made a promise for change, and he's certainly come through. Although no American in their right mind would support his form of "change."
Okay guys, I'd love to hear what you all think. Those of you who disagree, I do hope you post. Because this is America, and because I'm a true American, I do respect everyone's opinion. Just because I may disagree with you, doesn't mean you opinion isn't valued.
+++
Entry 1:
A plane-wave DFT calculation with PBE was carried out for a relaxed structure of CsRb3Zn2Pb2.

Results
The value obtained for the total DFT energy (no corrections) is -14.611 eV per cell.

POSCAR file:
```
CsRb3Zn2Pb2
1.0
7.1587 0.0000 0.0000
0.0000 6.9575 0.0000
-2.3092 0.0000 6.8978
Zn Pb Rb Cs
2 2 3 1
Direct
0.4963 0.2500 0.5019
0.4963 0.7500 0.5019
0.7422 0.5000 0.7466
0.2617 0.0000 0.2476
0.9882 0.5000 0.3258
0.3277 0.5000 0.9941
0.6753 0.0000 0.0088
0.0122 0.0000 0.6735
```

***

Entry 2:
A plane-wave DFT calculation with PBE was carried out for a relaxed structure of CsTmPbS3.

Results
The value obtained for the total DFT energy (no corrections) is -118.275 eV per cell.

POSCAR file:
```
CsTmPbS3
1.0
16.0952 0.0000 0.0000
0.0000 4.0628 0.0000
0.0000 0.0000 12.1574
S Pb Cs Tm
12 4 4 4
Direct
0.5791 0.7500 0.7505
0.8750 0.2500 0.8013
0.0903 0.2500 0.4573
0.6250 0.7500 0.3013
0.1250 0.7500 0.1987
0.0791 0.7500 0.7495
0.3750 0.2500 0.6987
0.9097 0.7500 0.5427
0.9209 0.2500 0.2505
0.4209 0.2500 0.2495
0.5903 0.2500 0.0427
0.4097 0.7500 0.9573
0.9585 0.7500 0.8945
0.5415 0.2500 0.3945
0.4585 0.7500 0.6055
0.0415 0.2500 0.1055
0.2357 0.2500 0.9111
0.7643 0.7500 0.0889
0.2643 0.7500 0.4111
0.7357 0.2500 0.5889
0.5032 0.7500 0.1366
0.4968 0.2500 0.8634
0.9968 0.2500 0.6366
0.0032 0.7500 0.3634
```

***

Entry 3:
A plane-wave DFT calculation with PBE was carried out for a relaxed structure of CsTmPbSe3.

Results
For the energy above the most stable polymorph in this dataset, the calculation gives 0.000 kcal/mol of atoms.

POSCAR file:
```
CsTmPbSe3
1.0
-0.1810 -15.6303 -5.7567
0.4901 -1.4512 3.9248
-12.2682 -0.3715 1.3945
Cs Se Pb Tm
4 12 4 4
Direct
0.2669 0.2500 0.5814
0.2331 0.7500 0.0814
0.7669 0.2500 0.9186
0.7331 0.7500 0.4186
0.3705 0.7500 0.3089
0.4056 0.2500 0.0413
0.0944 0.7500 0.5413
0.0826 0.2500 0.2492
0.1295 0.2500 0.8089
0.8705 0.7500 0.1911
0.9174 0.7500 0.7508
0.5944 0.7500 0.9587
0.9056 0.2500 0.4587
0.6295 0.2500 0.6911
0.5826 0.2500 0.2508
0.4174 0.7500 0.7492
0.5397 0.7500 0.5995
0.9603 0.2500 0.0995
0.0397 0.7500 0.9005
0.4603 0.2500 0.4005
0.4944 0.7500 0.1394
0.9944 0.7500 0.3606
0.5056 0.2500 0.8606
0.0056 0.2500 0.6394
```

***

Entry 4:
A plane-wave DFT calculation with PBE was carried out for a relaxed structure of CsTmPbSe3.

Results
For the energy above the most stable polymorph in this dataset, the calculation gives 2.087 kcal/mol of atoms.

POSCAR file:
```
CsTmPbSe3
1.0
7.7025 1.9570 3.9991
-8.8560 0.3727 -0.7630
-1.0033 -9.9329 6.7931
Se Pb Cs Tm
6 2 2 2
Direct
0.9878 0.0122 0.7500
0.3894 0.6106 0.0051
0.6106 0.3894 0.9949
0.0122 0.9878 0.2500
0.3894 0.6106 0.4949
0.6106 0.3894 0.5051
0.4007 0.5993 0.2500
0.5993 0.4007 0.7500
0.6978 0.3022 0.2500
0.3022 0.6978 0.7500
0.0000 0.0000 0.0000
0.0000 0.0000 0.5000
```

***

What did the third record say?
A plane-wave DFT calculation with PBE was carried out for a relaxed structure of CsTmPbSe3.

Results
+++
Topic for next blog: What does it mean to be an American? Specifically, I will be discussing the phrase "No Duty to Retreat" and the "Crises" essays by Thomas Paine, and their relation to today's Americans. Anyone with an opinion on this topic is welcome to comment. Thanks for your opinions!!!
Carteresque: Joe Biden Said Israeli Hostages Released by Hamas Terrorists
Appeared to Be 'in Good Health'
Photo Credit:Gaza hostages freed as terrorists dance around
cbc video youtube
The last poor judgment of a flawed judge of character.